== Brief ==
It remains to repeat the whole of the calculation results below exactly.

== Source ==
[1]
The following is a DFT calculation (the ωB97M-V functional and the def2-TZVPD basis) of a 9-piece molecular cluster, C23H47B3Cl17IO3 overall.

Positions of all 94 atoms, in Å:
C1 -1.290 -6.680 -2.254
C2 -1.420 -5.457 -1.327
C3 -2.598 -5.603 -0.343
C4 -1.592 -4.182 -2.162
B1 -1.680 -2.817 -1.433
O1 -1.119 -2.574 -0.167
B2 -0.699 -1.305 0.107
I1 0.764 -0.923 1.625
O2 -1.134 -0.229 -0.621
B3 -1.493 -0.567 -1.936
C5 -0.939 0.232 -3.157
C6 0.548 0.600 -2.967
C7 0.722 2.018 -2.463
Cl1 1.406 0.417 -4.548
O3 -2.263 -1.711 -2.057
H1 -1.054 -6.376 -3.276
H2 -0.500 -7.365 -1.948
H3 -2.228 -7.238 -2.302
H4 -0.505 -5.368 -0.736
H5 -2.341 -5.238 0.653
H6 -3.475 -5.048 -0.684
H7 -2.890 -6.647 -0.228
H8 -2.474 -4.269 -2.807
H9 -0.743 -4.086 -2.855
H10 -1.507 1.160 -3.290
H11 -1.074 -0.375 -4.050
H12 1.056 -0.090 -2.293
H13 1.776 2.276 -2.372
H14 0.263 2.711 -3.171
H15 0.232 2.109 -1.492
Cl2 -3.603 4.401 -2.320
C8 -3.679 2.981 -1.243
C9 -3.145 3.277 0.132
Cl3 -1.379 3.574 0.112
H16 -3.118 2.180 -1.720
H17 -4.724 2.687 -1.167
H18 -3.316 2.417 0.778
H19 -3.623 4.146 0.574
Cl4 4.070 -0.005 0.181
C10 5.648 0.540 -0.462
C11 5.474 1.518 -1.593
Cl5 4.763 0.745 -3.034
H20 6.195 -0.344 -0.781
H21 6.181 1.016 0.359
H22 6.435 1.927 -1.897
H23 4.822 2.340 -1.307
Cl6 8.043 3.625 -2.853
C12 7.565 4.434 -4.372
C13 6.510 5.482 -4.131
Cl7 4.960 4.760 -3.626
H24 7.210 3.664 -5.051
H25 8.460 4.894 -4.785
H26 6.326 6.030 -5.053
H27 6.816 6.181 -3.357
Cl8 3.351 -5.067 0.356
C14 4.383 -4.144 1.477
C15 5.439 -3.353 0.750
Cl9 6.674 -4.400 -0.002
H28 4.824 -4.848 2.179
H29 3.731 -3.460 2.018
H30 5.956 -2.706 1.457
H31 4.997 -2.744 -0.033
Cl10 -4.527 5.071 2.794
C16 -2.883 5.757 2.900
C17 -2.701 6.586 4.144
Cl11 -3.656 8.095 4.094
H32 -2.704 6.336 1.998
H33 -2.190 4.916 2.923
H34 -1.656 6.876 4.236
H35 -2.998 6.032 5.032
Cl12 -5.725 5.041 7.173
C18 -6.384 6.098 5.893
C19 -7.591 6.869 6.356
Cl13 -9.000 5.814 6.643
H36 -6.616 5.469 5.038
H37 -5.597 6.796 5.612
H38 -7.878 7.583 5.585
H39 -7.388 7.404 7.280
Cl14 -3.556 2.905 5.381
C20 -2.489 1.507 5.092
C21 -2.283 1.235 3.624
Cl15 -3.772 0.648 2.830
H40 -2.926 0.650 5.597
H41 -1.528 1.736 5.551
H42 -1.532 0.459 3.497
H43 -1.958 2.128 3.094
Cl16 1.978 -8.050 -2.347
C22 2.334 -9.736 -1.893
C23 1.640 -10.719 -2.800
Cl17 -0.131 -10.687 -2.587
H44 2.029 -9.869 -0.859
H45 3.412 -9.869 -1.965
H46 1.974 -11.728 -2.567
H47 1.849 -10.506 -3.845

Calculated values
DFT total energy (eV): -253778.1375
Orbital gap (eV): 10.1

---

[2]
The following is a DFT calculation (the ωB97M-V functional and the def2-TZVPD basis) of C23H48CeNO2P3 as an isolated structure.

Positions of all 78 atoms, in Å:
Ce1 0.870 -0.137 0.099
P1 -2.283 0.874 -0.543
P2 -0.063 -1.828 -2.095
P3 0.323 2.184 -1.642
H1 2.136 1.215 2.384
C1 1.659 2.007 1.776
C2 0.320 2.209 1.919
H2 -0.225 1.563 2.624
C3 -3.496 0.116 0.589
C4 -3.042 0.400 -2.149
C5 -2.865 2.625 -0.398
C6 1.556 -2.699 -2.180
C7 -1.192 -3.275 -2.131
C8 -0.195 -1.274 -3.845
C9 0.406 3.926 -1.077
C10 -0.486 2.474 -3.266
C11 2.058 2.012 -2.223
H3 2.316 2.621 1.147
H4 -0.234 3.037 1.469
H5 -3.428 0.612 1.562
H6 -3.263 -0.946 0.708
H7 -4.517 0.224 0.202
H8 -2.845 -0.660 -2.339
H9 -2.613 0.986 -2.963
H10 -4.123 0.573 -2.102
H11 -2.611 2.996 0.605
H12 -3.960 2.659 -0.532
H13 -2.386 3.275 -1.139
H14 1.449 -3.439 -2.988
H15 1.789 -3.244 -1.252
H16 2.385 -2.026 -2.452
H17 -0.802 -4.043 -2.814
H18 -2.206 -2.998 -2.451
H19 -1.262 -3.704 -1.121
H20 0.044 -2.104 -4.519
H21 0.511 -0.458 -4.030
H22 -1.213 -0.916 -4.068
H23 1.077 4.473 -1.759
H24 0.807 3.983 -0.058
H25 -0.589 4.392 -1.094
H26 0.187 3.096 -3.869
H27 -1.439 2.997 -3.141
H28 -0.647 1.524 -3.784
H29 2.344 2.954 -2.718
H30 2.165 1.178 -2.934
H31 2.758 1.844 -1.392
C12 4.680 0.323 -0.712
C13 5.533 -0.756 -0.939
C14 6.841 -0.508 -1.381
C15 7.283 0.821 -1.516
C16 6.427 1.892 -1.243
C17 5.111 1.640 -0.808
O1 3.293 0.024 -0.437
H32 3.359 -0.843 0.027
H33 5.154 -1.780 -0.830
H34 7.525 -1.317 -1.615
H35 8.287 1.009 -1.891
H36 6.781 2.919 -1.360

== Response ==
[1]
The following is a DFT calculation (the ωB97M-V functional and the def2-TZVPD basis) of a 9-piece molecular cluster, C23H47B3Cl17IO3 overall.

Positions of all 94 atoms, in Å:
C1 -1.290 -6.680 -2.254
C2 -1.420 -5.457 -1.327
C3 -2.598 -5.603 -0.343
C4 -1.592 -4.182 -2.162
B1 -1.680 -2.817 -1.433
O1 -1.119 -2.574 -0.167
B2 -0.699 -1.305 0.107
I1 0.764 -0.923 1.625
O2 -1.134 -0.229 -0.621
B3 -1.493 -0.567 -1.936
C5 -0.939 0.232 -3.157
C6 0.548 0.600 -2.967
C7 0.722 2.018 -2.463
Cl1 1.406 0.417 -4.548
O3 -2.263 -1.711 -2.057
H1 -1.054 -6.376 -3.276
H2 -0.500 -7.365 -1.948
H3 -2.228 -7.238 -2.302
H4 -0.505 -5.368 -0.736
H5 -2.341 -5.238 0.653
H6 -3.475 -5.048 -0.684
H7 -2.890 -6.647 -0.228
H8 -2.474 -4.269 -2.807
H9 -0.743 -4.086 -2.855
H10 -1.507 1.160 -3.290
H11 -1.074 -0.375 -4.050
H12 1.056 -0.090 -2.293
H13 1.776 2.276 -2.372
H14 0.263 2.711 -3.171
H15 0.232 2.109 -1.492
Cl2 -3.603 4.401 -2.320
C8 -3.679 2.981 -1.243
C9 -3.145 3.277 0.132
Cl3 -1.379 3.574 0.112
H16 -3.118 2.180 -1.720
H17 -4.724 2.687 -1.167
H18 -3.316 2.417 0.778
H19 -3.623 4.146 0.574
Cl4 4.070 -0.005 0.181
C10 5.648 0.540 -0.462
C11 5.474 1.518 -1.593
Cl5 4.763 0.745 -3.034
H20 6.195 -0.344 -0.781
H21 6.181 1.016 0.359
H22 6.435 1.927 -1.897
H23 4.822 2.340 -1.307
Cl6 8.043 3.625 -2.853
C12 7.565 4.434 -4.372
C13 6.510 5.482 -4.131
Cl7 4.960 4.760 -3.626
H24 7.210 3.664 -5.051
H25 8.460 4.894 -4.785
H26 6.326 6.030 -5.053
H27 6.816 6.181 -3.357
Cl8 3.351 -5.067 0.356
C14 4.383 -4.144 1.477
C15 5.439 -3.353 0.750
Cl9 6.674 -4.400 -0.002
H28 4.824 -4.848 2.179
H29 3.731 -3.460 2.018
H30 5.956 -2.706 1.457
H31 4.997 -2.744 -0.033
Cl10 -4.527 5.071 2.794
C16 -2.883 5.757 2.900
C17 -2.701 6.586 4.144
Cl11 -3.656 8.095 4.094
H32 -2.704 6.336 1.998
H33 -2.190 4.916 2.923
H34 -1.656 6.876 4.236
H35 -2.998 6.032 5.032
Cl12 -5.725 5.041 7.173
C18 -6.384 6.098 5.893
C19 -7.591 6.869 6.356
Cl13 -9.000 5.814 6.643
H36 -6.616 5.469 5.038
H37 -5.597 6.796 5.612
H38 -7.878 7.583 5.585
H39 -7.388 7.404 7.280
Cl14 -3.556 2.905 5.381
C20 -2.489 1.507 5.092
C21 -2.283 1.235 3.624
Cl15 -3.772 0.648 2.830
H40 -2.926 0.650 5.597
H41 -1.528 1.736 5.551
H42 -1.532 0.459 3.497
H43 -1.958 2.128 3.094
Cl16 1.978 -8.050 -2.347
C22 2.334 -9.736 -1.893
C23 1.640 -10.719 -2.800
Cl17 -0.131 -10.687 -2.587
H44 2.029 -9.869 -0.859
H45 3.412 -9.869 -1.965
H46 1.974 -11.728 -2.567
H47 1.849 -10.506 -3.845

Calculated values
DFT total energy (eV): -253778.1375
Orbital gap (eV): 10.1

---

[2]
The following is a DFT calculation (the ωB97M-V functional and the def2-TZVPD basis) of C23H48CeNO2P3 as an isolated structure.

Positions of all 78 atoms, in Å:
Ce1 0.870 -0.137 0.099
P1 -2.283 0.874 -0.543
P2 -0.063 -1.828 -2.095
P3 0.323 2.184 -1.642
H1 2.136 1.215 2.384
C1 1.659 2.007 1.776
C2 0.320 2.209 1.919
H2 -0.225 1.563 2.624
C3 -3.496 0.116 0.589
C4 -3.042 0.400 -2.149
C5 -2.865 2.625 -0.398
C6 1.556 -2.699 -2.180
C7 -1.192 -3.275 -2.131
C8 -0.195 -1.274 -3.845
C9 0.406 3.926 -1.077
C10 -0.486 2.474 -3.266
C11 2.058 2.012 -2.223
H3 2.316 2.621 1.147
H4 -0.234 3.037 1.469
H5 -3.428 0.612 1.562
H6 -3.263 -0.946 0.708
H7 -4.517 0.224 0.202
H8 -2.845 -0.660 -2.339
H9 -2.613 0.986 -2.963
H10 -4.123 0.573 -2.102
H11 -2.611 2.996 0.605
H12 -3.960 2.659 -0.532
H13 -2.386 3.275 -1.139
H14 1.449 -3.439 -2.988
H15 1.789 -3.244 -1.252
H16 2.385 -2.026 -2.452
H17 -0.802 -4.043 -2.814
H18 -2.206 -2.998 -2.451
H19 -1.262 -3.704 -1.121
H20 0.044 -2.104 -4.519
H21 0.511 -0.458 -4.030
H22 -1.213 -0.916 -4.068
H23 1.077 4.473 -1.759
H24 0.807 3.983 -0.058
H25 -0.589 4.392 -1.094
H26 0.187 3.096 -3.869
H27 -1.439 2.997 -3.141
H28 -0.647 1.524 -3.784
H29 2.344 2.954 -2.718
H30 2.165 1.178 -2.934
H31 2.758 1.844 -1.392
C12 4.680 0.323 -0.712
C13 5.533 -0.756 -0.939
C14 6.841 -0.508 -1.381
C15 7.283 0.821 -1.516
C16 6.427 1.892 -1.243
C17 5.111 1.640 -0.808
O1 3.293 0.024 -0.437
H32 3.359 -0.843 0.027
H33 5.154 -1.780 -0.830
H34 7.525 -1.317 -1.615
H35 8.287 1.009 -1.891
H36 6.781 2.919 -1.360